what is going on with this game came back for a couple games and cant get a team that works together. does anyone put money into this game any more? how could you expect to make money with this match making. went from a silver player to b5 due to rank decay, this game needs to be shut down.
Rank does not decay below Master. I think you just had an unlucky losing streak.
Blizzard gave up on this game. Do not play until they decide to make the proper changes needed to ranked.
This is an easy and cheap fix: If you get paired with a potatoe with more than 10 deaths, next game the potatoe goes to enemy team…
Nah you will get the same player on your team like 4 games in row.
Another easy and cheap fix: If you get paired with classic potatoe first pick Butcher that die 11 times and ends game with 10 meat, next game the potatoe is in enemy team…
You know they will not do that. instead of putting said player on the enemy team (that and you cant do it when you are being forced to play against 5man premades) They should be putting more time and effort into a surrender option, player avoidance and of course actually punishing and dealing with the people who afk feed.
Enemy team picks Chogall, my team potatoemates pick Nova and Abathur. I lost rank points and, more important, 10 minuts of my life. But I’ll be banned by AMoving for the next potatoegame…
_Inserted here: materials data_
~~~
# Ce3BeCrS7 | the Alexandria database | PBE-GGA | optimized geometry
data_Ce3BeCrS7
_chemical_formula_sum 'Ce6 Be2 Cr2 S14'
_symmetry_space_group_name_H-M 'P 63'
_symmetry_Int_Tables_number 173
_symmetry_space_group_name_Hall 'P 6c'
_cell_length_a 9.8963
_cell_length_b 9.8963
_cell_length_c 5.8731
_cell_angle_alpha 90.00
_cell_angle_beta 90.00
_cell_angle_gamma 120.00
loop_
_atom_site_label
_atom_site_fract_x
_atom_site_fract_y
_atom_site_fract_z
_atom_site_occupancy
Ce1 0.1431 0.7594 0.0000 1
Be1 0.3333 0.6667 0.5904 1
Cr1 0.0000 0.0000 0.2115 1
S1 0.0866 0.8574 0.4604 1
S2 0.1058 0.5207 0.7209 1
S3 0.3333 0.6667 0.2339 1
# Formation energy without anion corrections in eV/atom: -1.565

=====

# CsCeBe2F8 | the Alexandria database | PBE-GGA | optimized geometry
data_CsCeBe2F8
_chemical_formula_sum 'Cs3 Ce3 Be6 F24'
_symmetry_space_group_name_H-M 'R -3'
_symmetry_Int_Tables_number 148
_symmetry_space_group_name_Hall '-R 3'
_cell_length_a 5.2946
_cell_length_b 5.2946
_cell_length_c 25.6954
_cell_angle_alpha 90.00
_cell_angle_beta 90.00
_cell_angle_gamma 120.00
loop_
_atom_site_label
_atom_site_fract_x
_atom_site_fract_y
_atom_site_fract_z
_atom_site_occupancy
Cs1 0.0000 0.0000 0.0000 1
Ce1 0.0000 0.0000 0.5000 1
Be1 0.0000 0.0000 0.2444 1
F1 0.0000 0.0000 0.3023 1
F2 0.0156 0.2854 0.2203 1
# Formation energy without anion corrections in eV/atom: -3.445

=====

# CsCeBeS3 | the Alexandria database | PBE-GGA | optimized geometry
data_CsCeBeS3
_chemical_formula_sum 'Cs2 Ce2 Be2 S6'
_symmetry_space_group_name_H-M 'P 1 21/m 1'
_symmetry_Int_Tables_number 11
_symmetry_space_group_name_Hall '-P 2yb'
_cell_length_a 9.536
_cell_length_b 4.028
_cell_length_c 9.698
_cell_angle_alpha 90.00
_cell_angle_beta 110.20
_cell_angle_gamma 90.00
loop_
_atom_site_label
_atom_site_fract_x
_atom_site_fract_y
_atom_site_fract_z
_atom_site_occupancy
Cs1 0.239 0.250 0.204 1
Ce1 0.155 0.250 0.667 1
Be1 0.394 0.750 0.927 1
S1 0.158 0.750 0.466 1
S2 0.166 0.750 0.877 1
S3 0.468 0.250 0.851 1
# Formation energy without anion corrections in eV/atom: -1.477

=====

# Cs4Ce3BeSe8 | the Alexandria database | PBE-GGA | optimized geometry
data_Cs4Ce3BeSe8
_chemical_formula_sum 'Cs8 Ce6 Be2 Se16'
_symmetry_space_group_name_H-M 'C 1 2/m 1'
_symmetry_Int_Tables_number 12
_symmetry_space_group_name_Hall '-C 2y'
_cell_length_a 15.221
_cell_length_b 8.468
_cell_length_c 9.706
_cell_angle_alpha 90.00
_cell_angle_beta 120.73
_cell_angle_gamma 90.00
loop_
_atom_site_label
_atom_site_fract_x
_atom_site_fract_y
_atom_site_fract_z
_atom_site_occupancy
Cs1 0.000 0.000 0.000 1
Cs2 0.000 0.500 0.000 1
Cs3 0.250 0.250 0.000 1
Ce1 0.000 0.000 0.500 1
Ce2 0.250 0.250 0.500 1
Be1 0.000 0.500 0.500 1
Se1 0.022 0.282 0.336 1
Se2 0.228 0.000 0.691 1
Se3 0.245 0.500 0.699 1
# Formation energy without anion corrections in eV/atom: -1.360

=====

# CsCeBeSe3 | the Alexandria database | PBE-GGA | optimized geometry
data_CsCeBeSe3
_chemical_formula_sum 'Cs2 Ce2 Be2 Se6'
~~~
Nothing worse, you say? Now I get potatoeNova and potatoeMedivh! xD
And now a potatoeMurky that is dying more times than the classic potatoeButcher in your team. A very funny afternoon…
All hail the potato.
Now the potatoe “Valla Carrier”: “Trust me, I’m good with Valla” (30 % winrate). End the game with 9 deaths and 9 kills. 200 points less and learning that the Potatoe Team Generator hates me and puts me now with a potatoeButcher…
This is SO true. Th’as why I wait like 5 minute between rounds before queuing up again.
Well thank you. Thank you very much. I’m so offended.
(Records of crystals, as found in the file)
<<<
(1)
Here is an optimized crystal structure of La6YHg12 from the Alexandria database. Energies are from PBE.

Computed properties:
As for the energy of formation from the pure elements: -0.389 eV per atom. As for the raw total energy: -0.0910 hartree per atom. The value obtained for the density of states at the Fermi level is 0.767 states/eV per atom.

abc: 8.7720 8.7720 8.7720
angles: 107.35 107.35 107.35
Positions (direct):
1 Hg 0.1872 0.5789 0.4362
2 Y 0.0000 0.0000 0.0000
3 Hg 0.1381 0.8442 0.2574
4 Hg 0.2574 0.1381 0.8442
5 La 0.9263 0.7716 0.5023
6 Hg 0.1558 0.7426 0.8619
7 Hg 0.4362 0.1872 0.5789
8 Hg 0.5789 0.4362 0.1872
9 La 0.7716 0.5023 0.9263
10 Hg 0.7426 0.8619 0.1558
11 La 0.5023 0.9263 0.7716
12 La 0.0737 0.2284 0.4977
13 Hg 0.5638 0.8128 0.4211
14 Hg 0.8128 0.4211 0.5638
15 Hg 0.8442 0.2574 0.1381
16 La 0.2284 0.4977 0.0737
17 Hg 0.8619 0.1558 0.7426
18 Hg 0.4211 0.5638 0.8128
19 La 0.4977 0.0737 0.2284

(2)
Here is an optimized crystal structure of VZn4Sn from the Alexandria database. Energies are from PBE.

Computed properties:
As for the energy of formation from the pure elements: 0.135 eV per atom. As for the raw total energy: -0.1066 hartree per atom. The value obtained for the density of states at the Fermi level is 0.353 states/eV per atom.

abc: 5.2149 5.2149 5.2149
angles: 60.00 60.00 60.00
Each line ends with the local moment (μB).
Positions (direct):
1 V 0.2500 0.2500 0.2500  2.59
2 Sn 0.0000 0.0000 0.0000  -0.02
3 Zn 0.6240 0.6240 0.6240  0.02
4 Zn 0.6240 0.6240 0.1281  0.02
5 Zn 0.1281 0.6240 0.6240  0.02
6 Zn 0.6240 0.1281 0.6240  0.02

(3)
Here is an optimized crystal structure of YMg2Al from the Alexandria database. Energies are from PBE.

Computed properties:
As for the energy of formation from the pure elements: -0.172 eV per atom. As for the raw total energy: -0.1294 hartree per atom. The value obtained for the density of states at the Fermi level is 0.265 states/eV per atom.

abc: 5.0344 5.0344 5.0344
angles: 120.17 120.14 89.73
Positions (direct):
1 Mg 0.0001 0.0001 0.0000
2 Al 0.7502 0.2502 0.5000
3 Mg 0.2498 0.7498 0.5000
4 Y 0.5000 0.5000 0.0000

(4)
Here is an optimized crystal structure of K2Ti2AlSe6 from the Alexandria database. Energies are from PBE.

Computed properties:
As for the raw total energy: -0.1838 hartree per atom. The uncorrected formation energy comes out at -1125.7 meV/atom. The value obtained for the density of states at the Fermi level is 0.422 states/eV per atom.

abc: 6.5109 6.5109 8.1671
angles: 97.92 97.92 120.51
>>>
Don’t Q up instantly after the game ends. You will get a whole set of new players wait at least 5 minutes.
i was lossing over 500 rank points a game so i think your wrong
If don’t play for a while, the confidence of your mmr is gradually lowered over time. ±500 is the limit and from what i’ve seen takes around 1.5-2 months of not playing to reach (another way to get there would be a very long win/lose streak (usually >15). It usually last about 10-15 games until it gets back to ±200 (starts going down slow (the full 500 usually lasts about 4-5 games): like 500 500 500 480 450 400 and then just drops to ~250 fast and then slowly fades to the normal 200).
If you care about your rank, you should really not hop right into SL after a long break. At least do a warmup in try mode or sth. When the difference between win and lose is a full rank (1k points), you should probably make sure you’re at your best when you go back in.
On the other hand, 2.5x for a few games isn’t that much in the long run, so you really shouldn’t pay too much attention to it, if you are indeed playing your normal game.
Rank decay stops at the edge of D5/P1 (anyone lower will never experience it). Decay is unrelated to mmr loosening though - those are 2 different systems. Mmr loosening for inactivity applies to everyone. Mmr loosening is a very good system, passive rank decay is not (but I doubt OP experienced that one, as I can only imagine the language of the post if he dropped from master5k to plat1 for no reason at all, when he seems already so mad about rightfully losing points for actually losing 4 games).
There is a fix. It’s called git gud. It is literally impossible to lose in Bronze 5 if you know how to play the game. You can actually 1v9. Just a move in a side lane until their core is dead. It is actually that simple.
aaaaaaaaaaahahahahaahhahaaaaaaaaaaaaaaaaaaaaa. Can lucky people that get 4 potatoes in enemy team avoid answering? xD
did you play league before HOTS, this sounds like a league player. the game was designed to be more team based than LOL. And they acomplished it, sure you can carry with certain toons but even in LOL you cant always carry a team. It is the weakest link concept. yes i cant but even having a win rate above 50% will not get you out of bronze. look at my history.